## Brief
The reader should copy the data further below from the line with "distance in" to the end verbatim.

## Excerpt
********
Material: Dy4Te3S4
Method: DFT, meta-GGA r2SCAN
State: relaxed

Results
The magnetization comes out at 0.00 μB per atom. As for the formation energy: -1.9738 eV/atom. The crystal system is monoclinic. The uncorrected energy is -23.457 eV per atom.

Unit cell a=6.7289 b=13.8533 c=6.7172 alpha=90.00 beta=103.29 gamma=90.00
Last column: nearest neighbours and their distance in Å.
Space group C2/m (No. 12)
One atom of each set of equivalent atoms:
Dy (0.2397, 0.1613, 0.2445) [8 per cell]  4 S 2.67-2.75
Te (0.0000, 0.5000, 0.5000) [2 per cell]  4 Dy 3.10
Te (0.1322, 0.0000, 0.8666) [4 per cell]  1 Te 2.80
S (0.0000, 0.2180, 0.5000) [4 per cell]  4 Dy 2.73
S (0.0000, 0.2878, 0.0000) [4 per cell]  4 Dy 2.67-2.75
********

## Here it is
Last column: nearest neighbours and their distance in Å.
Space group C2/m (No. 12)
One atom of each set of equivalent atoms:
Dy (0.2397, 0.1613, 0.2445) [8 per cell]  4 S 2.67-2.75
Te (0.0000, 0.5000, 0.5000) [2 per cell]  4 Dy 3.10
Te (0.1322, 0.0000, 0.8666) [4 per cell]  1 Te 2.80
S (0.0000, 0.2180, 0.5000) [4 per cell]  4 Dy 2.73
S (0.0000, 0.2878, 0.0000) [4 per cell]  4 Dy 2.67-2.75